Request.
It remains to duplicate the entries underneath from the first line to the one with "0.795" without altering anything.

Material.
=====
[1]
Material: Cu2Ag5
Method: DFT, PBE
State: optimized geometry

Cell: 4.965 4.965 8.285 Å, 93.42 93.42 33.67°
Fractional coordinates of all 7 atoms:
Ag  0.279  0.279  0.155
Ag  0.443  0.443  0.687
Ag  0.000  0.000  0.000
Ag  0.721  0.721  0.845
Ag  0.557  0.557  0.313
Cu  0.160  0.160  0.569
Cu  0.840  0.840  0.431

Values from the calculation:
formation energy: 0.054 eV/atom
polymorph energy (0 for the lowest one): 18 meV/atom
crystal system: monoclinic
E: -3.026 eV/atom


[2]
Material: Cu4Ag5
Method: DFT, PBE
State: optimized geometry

Cell: 2.818 2.818 20.143 Å, 90.00 90.00 120.00°
Fractional coordinates of all 9 atoms:
Cu  0.333  0.667  0.205
Cu  0.333  0.667  0.890
Cu  0.667  0.333  0.795
Cu  0.667  0.333  0.110
Ag  0.000  0.000  0.000
Ag  0.333  0.667  0.561
Ag  0.000  0.000  0.315
Ag  0.000  0.000  0.685
Ag  0.667  0.333  0.439

Values from the calculation:
formation energy: 0.090 eV/atom
polymorph energy (0 for the lowest one): 53 meV/atom
crystal system: trigonal
E: -3.131 eV/atom


[3]
Material: Cu7Ag2
Method: DFT, PBE
State: optimized geometry

Cell: 4.621 4.621 6.446 Å, 90.00 90.00 120.00°
Fractional coordinates of all 9 atoms:
Cu  0.327  0.000  0.156
Cu  0.000  0.673  0.844
Cu  0.673  0.000  0.844
Cu  0.000  0.327  0.156
Cu  0.673  0.673  0.156
Cu  0.327  0.327  0.844
Cu  0.000  0.000  0.500
Ag  0.333  0.667  0.500
Ag  0.667  0.333  0.500

Values from the calculation:
formation energy: 0.086 eV/atom
polymorph energy (0 for the lowest one): 40 meV/atom
crystal system: trigonal
E: -3.433 eV/atom


[4]
Material: CuAg2
Method: DFT, PBE
State: optimized geometry

Cell: 6.112 6.112 8.758 Å, 104.00 104.00 26.94°
Fractional coordinates of all 9 atoms:
Ag  0.685  0.685  0.567
Ag  0.662  0.662  0.885
Ag  0.342  0.342  0.106
Ag  0.664  0.664  0.216
Ag  0.000  0.000  0.346
Ag  0.982  0.982  0.662
Cu  0.997  0.997  0.989
Cu  0.329  0.329  0.433
Cu  0.339  0.339  0.796

Values from the calculation:
formation energy: 0.075 eV/atom
polymorph energy (0 for the lowest one): 44 meV/atom
crystal system: monoclinic
E: -3.047 eV/atom


[5]
Material: Cu7Ag2
Method: DFT, PBE
State: optimized geometry

Cell: 6.809 6.809 7.482 Å, 118.95 118.95 23.19°
Fractional coordinates of all 9 atoms:
Ag  0.779  0.779  0.687
Ag  0.221  0.221  0.313
Cu  0.449  0.449  0.673
Cu  0.000  0.000  0.000
Cu  0.551  0.551  0.327
Cu  0.099  0.099  0.651
Cu  0.901  0.901  0.349
Cu  0.660  0.660  0.967
Cu  0.340  0.340  0.033

Values from the calculation:
formation energy: 0.073 eV/atom
polymorph energy (0 for the lowest one): 27 meV/atom
crystal system: monoclinic
E: -3.446 eV/atom


[6]
Material: Cu4Ag3
Method: DFT, PBE
State: optimized geometry

Cell: 4.787 4.787 7.998 Å, 93.81 93.81 33.54°
Fractional coordinates of all 7 atoms:
Cu  0.281  0.281  0.142
Cu  0.719  0.719  0.858
Cu  0.843  0.843  0.417
Cu  0.157  0.157  0.583
Ag  0.566  0.566  0.305
Ag  0.434  0.434  0.695
Ag  0.000  0.000  0.000

Values from the calculation:
formation energy: 0.100 eV/atom
polymorph energy (0 for the lowest one): 51 meV/atom
crystal system: monoclinic
E: -3.235 eV/atom
=====

Solution.
[1]
Material: Cu2Ag5
Method: DFT, PBE
State: optimized geometry

Cell: 4.965 4.965 8.285 Å, 93.42 93.42 33.67°
Fractional coordinates of all 7 atoms:
Ag  0.279  0.279  0.155
Ag  0.443  0.443  0.687
Ag  0.000  0.000  0.000
Ag  0.721  0.721  0.845
Ag  0.557  0.557  0.313
Cu  0.160  0.160  0.569
Cu  0.840  0.840  0.431

Values from the calculation:
formation energy: 0.054 eV/atom
polymorph energy (0 for the lowest one): 18 meV/atom
crystal system: monoclinic
E: -3.026 eV/atom


[2]
Material: Cu4Ag5
Method: DFT, PBE
State: optimized geometry

Cell: 2.818 2.818 20.143 Å, 90.00 90.00 120.00°
Fractional coordinates of all 9 atoms:
Cu  0.333  0.667  0.205
Cu  0.333  0.667  0.890
Cu  0.667  0.333  0.795